It was this research ________ inspired the phrase “Six Degrees of Separation”. (用适当的词填空)
In the last few decades, the theory and the phrase ________ (appear) again. (所给词的适当形式填空)
In fact, there was no need _________ (cry) about the matter. (所给词的适当形式填空)
假如你是王琳,上周在外教Mr. Smith的口语课上使用手机被老师发现,手机被收走。请给外教写一封道歉信,内容应包括以下要点:
1. 表示道歉;2. 解释上课使用手机的原因;3. 提出自己的请求并适当表态。
注意:1. 可适当添加细节使文章连贯,词数100左右;
2. 信的开头和结尾已给出,不计入总词数。
Dear Mr. Smith,

Yours sincerely,

Wang Lin


As people across the globe struggled with higher levels of stress, depression and anxiety this past year, many turned to their favorite comfort foods: ice cream, pizza, hamburgers. But studies in recent years suggest that the high-sugar and high-fat foods when we are stressed or depressed, as comforting as they may seem, are the least likely to benefit our mental health. Instead, whole foods such as vegetables, fruit, fish, eggs, nuts may be a better bet.

Historically, nutrition research has focused largely on how the foods we eat affect our physical health, rather than our mental health, though. Over the years, large population studies have found that people assigned to follow a Mediterranean diet for three months had greater reductions in symptoms of depression after three months compared to a control group.

Public health experts around the world have started encouraging people to adopt lifestyle behaviors like exercise, sound sleep, a heart-healthy diet and avoiding smoking that may reduce inflammation (发炎) and have benefits for the brain. Individual clinicians are already including nutrition into their work with patients. Dr. Drew Ramsey, a clinical professor at the Columbia University, begins his meetings with new patients by exploring their diet. He asks what they eat, learns their favorite foods, and finds out if foods that he considers important for the connection are missing from their diets, such as plants, seafood.

Dr. Ramsey said he does not wat people to think that the only factor involved in brain heath is food. “Lots of people get their food exactly right, live very active lives, and still have significant troubles with their mental health,” he said. But he also teaches people that food can be empowering. “We can’t control our genes,” he said. “But we can control how we eat, and that gives people actionable things that they can do to take care of their brain health on a daily basis.”

1.What do previous nutrition studies mainly focus on?
A.How our diets affect our mental health.B.How our diets affect our physical health.
C.How our mental health affects our diets.D.How our physical health affects our diets.
2.Why are individual clinicians including nutrition into their work with patients?
A.They try to cater to their patients’ needs.
B.They are questioning public health experts.
C.They want to prove the effectiveness of healthy diets.
D.They have accepted the findings of large population studies.
3.Which of the following might Dr. Ramsey agree with?
A.Some connection exists between our diets and mental health.
B.People can control their genes as well as how they eat.
C.People living active lives will not have mental problems.
D.Eating a healthy diet is going to cure depression.
4.What is the main idea of the text?
A.People with anxiety usually turn to food for comfort.
B.The daily diet is the factor connected with brain health.
C.Controlling the way we eat is likely to benefit our mental health.
D.Having a high-sugar diet can reduce symptoms of depression.

Bryan Caplan, an economics professor at George Mason University (GMU), said the progress ChatGPT made — it improved is score from a D to an A on his economics test in just three months — has shocked him.

Writing in a blog post, Caplan said he gave ChatGPT questions which test students’ understanding of economics rather than complete what are essentially memory exercises. It’s here where the old version of ChatGPT tipped up. The bot scored 31 out of a possible 100 on his test, similar to a D and well below his 50% median (中位数).

Caplan told Insider that the bot failed to understand basic concepts. “ChatGPT does a fine job of imitating a very weak GMU econ student,” Caplan wrote in his January blog post.

He isn’t the only academic that ChatGPT has disappointed. While it passed a Wharton Business School exam in January, its professor said it made “surprising mistakes” on simple calculations (计算).

But when ChatGPT-4 was released, its progress shocked Caplan. It scored 73% on the same midterm test, similar to an A and among the best scores in his class.

For Caplan, the improvements were obvious. The bot gave clear answers to his questions, understanding and explaining principles it previously struggled with. Caplan thought ChatGPT’s training data might have picked up his previous blog post where he explained his answers, but colleagues told him this was highly unlikely. He added that he’s already fed the bot new tests it hadn’t seen before, where it did even better than its previous 73% grade.

AI bots have caused headaches for examiners. Professors told Insider that plagiarism (抄袭) can be hard to prove with material from ChatGPT because there is no material evidence of wrongdoing.

Caplan said he’s thinking of doing away with graded homework with the rise of ChatGPT. He hopes his habit of regularly changing questions will be enough to stop students from learning and copying ChatGPT’s responses in exam settings.

1.Which of the following abilities do Caplan’s questions test?
A.Memorizing facts.B.Writing essays.
C.Understanding concepts.D.Solving maths problems.
2.How was ChatGPT’s performance on Caplan’s economics test after the release of ChatGPT-4?
A.It was satisfying.B.It was perfect.
C.It was disappointing.D.It was below average.
3.What can we learn about ChatGPT from Paragraph 6?
A.Is training data is limited.B.It writes blog posts for Caplan.
C.It struggles to understand basic concepts.D.It can probably improve its performance.
4.What is the last paragraph mainly about?
A.The impact of AI bots on education.
B.The benefits of changing questions regularly.
C.Potential application of ChatGPT in education.
D.A possible solution to a problem caused by ChatGPT.

Kangaroos can communicate with humans, according to a new study. The report is the first research of this kind to be done on marsupials — a type of mammal whose young get carried in pouches (育儿袋) on their mother’s body. It suggests kangaroos are cleverer than previously thought.

Researchers from the University of Roehampton in the UK and the University of Sydney in Australia tested kangaroos at three locations — the Australian Reptile Park, Wildlife Sydney Zoo and Kangaroo Protection Co-operative. The scientists put food in a box that the kangaroos could not open, and waited to see what the animals would do.

Rather than giving up, 10 out of the 11 kangaroos actively looked at the person who had put the food in the box and then looked at the box. The researchers said this could be interpreted as the kangaroos requesting help to open the container.

Dr Alexandra Green, a co-author of the study, told The Guardian newspaper that some of the kangaroos actually approached the person and started scratching and sniffing them, then looked back at the box. “So they were really trying to communicate,” Green said.

This behaviour is not uncommon in animals. However, it is usually only seen in domesticated animals. Domesticated means animals that have been bred (饲养) to live alongside people, such as pets or farm animals. The lead author of the study, Dr Alan McElligott, explained, “Through this study, we were able to see that communication between animals can be learnt and that the behaviour of looking at humans to access food is not related to domestication.”

“Indeed, kangaroos showed a very similar pattern of behaviour we have seen in dogs, horses and even goats, when put to the same test,” he added.

It is hoped that the study will give people a more positive attitude towards kangaroos, which are sometimes seen as pests that damage farmers’ crops.

1.Why did the kangaroos look at the person and then the box?
A.They were curious.B.They were asking for help.
C.They were confused by the box.D.They were playing with the person.
2.What does Dr Alan McElligott say about kangaroos’ behavior?
A.It is only seen in wild animals.
B.It has nothing to do with domestication.
C.It sets kangaroos apart from other animals.
D.It can only be learned by domesticated animals.
3.What purpose is the study expected to serve?
A.Protecting farmers’ crops from kangaroos.
B.Calling on people to protect kangaroos.
C.Changing the way people see kangaroos.
D.Encouraging people to domesticate kangaroos.
4.Which of the following is a suitable title for the text?
A.How kangaroos access foodB.Why Kangaroos are our friends
C.Kangaroos can “talk” to usD.Kangaroos are cleverer than we thought

Just Cycle And Fold Away

There’s no excuse not to get on your bike this spring. Get your indoor cycling fix and feel the benefits.

Great for general cardio (有氧的) fitness, exercise bikes can be a brilliant way of training at home. However, choosing the right bike is incredibly important, which is something that Roger Black and his team recognized when creating the Roger Black Folding Bike.

“Excellent value for money. Especially the ability to fold the exercise bike into a vertical (直立的) position and wheel it away for storage. This can also prevent you from throwing your clothes on it at the end of the day! Even if we are limited on space at home and work, we can continue physical activity with a Roger Black folding bike. This bike is helping me achieve my fitness goals following a recent running injury.”

——Brian Smith

“Best Present EVER are the words from my 77-year-old father who received his Roger Black fitness bike for his birthday. He said it is so simple and easy to use. The seat is VERY comfortable, so using it every day is a pleasure. It folds away nearly so it can be stored behind a door when necessary.”

——Anna Farnham

Roger Black is offering a 10% discount on the full www.rogerblackfitness.com range of home fitness equipment for all Reader’s Digest readers. Please use discount code DIGEST10 at checkout.

_Misplaced calculated crystals_
=====
Mg149Ru PBE optimized geometry; space-group type = P-6m2, No. 187
1.0
-3.983 12.601 8.881
-8.688 -13.323 0.733
9.084 -5.287 11.576
Mg Ru
149 1
direct
0.397 0.000 0.000
0.603 0.000 0.000
0.190 0.002 0.000
0.812 0.002 0.000
0.998 0.188 0.000
0.190 0.188 0.000
0.398 0.199 0.000
0.801 0.199 0.000
0.600 0.199 0.000
0.198 0.397 0.000
0.397 0.397 0.000
0.000 0.397 0.000
0.801 0.400 0.000
0.600 0.400 0.000
0.400 0.600 0.000
0.200 0.600 0.000
0.801 0.602 0.000
0.603 0.603 0.000
0.000 0.603 0.000
0.400 0.800 0.000
0.603 0.802 0.000
0.198 0.802 0.000
0.998 0.810 0.000
0.812 0.810 0.000
0.063 0.126 0.157
0.063 0.937 0.157
0.874 0.937 0.157
0.066 0.331 0.165
0.265 0.331 0.165
0.066 0.735 0.165
0.669 0.735 0.165
0.669 0.934 0.165
0.265 0.934 0.165
0.067 0.533 0.166
0.467 0.533 0.166
0.467 0.933 0.166
0.266 0.533 0.166
0.467 0.734 0.166
0.266 0.734 0.166
0.467 0.134 0.167
0.666 0.134 0.167
0.467 0.334 0.167
0.866 0.334 0.167
0.866 0.533 0.167
0.666 0.533 0.167
0.667 0.333 0.167
0.866 0.134 0.167
0.269 0.134 0.167
0.866 0.731 0.167
0.199 0.199 0.331
0.000 0.199 0.331
0.000 0.801 0.331
0.801 0.801 0.331
0.199 0.000 0.331
0.801 0.000 0.331
0.000 0.000 0.332
0.399 0.000 0.333
0.601 0.000 0.333
0.000 0.399 0.333
0.399 0.399 0.333
0.601 0.601 0.333
0.000 0.601 0.333
0.200 0.400 0.333
0.600 0.800 0.333
0.200 0.800 0.333
0.200 0.600 0.333
0.400 0.600 0.333
0.400 0.800 0.333
0.600 0.200 0.334
0.600 0.400 0.334
0.800 0.400 0.334
0.800 0.200 0.334
0.400 0.200 0.334
0.800 0.600 0.334
0.266 0.133 0.500
0.867 0.133 0.500
0.067 0.133 0.500
0.467 0.133 0.500
0.667 0.133 0.500
0.266 0.333 0.500
0.066 0.333 0.500
0.867 0.333 0.500
0.467 0.333 0.500
0.667 0.333 0.500
0.266 0.533 0.500
0.467 0.533 0.500
0.066 0.533 0.500
0.867 0.533 0.500
0.667 0.533 0.500
0.467 0.734 0.500
0.266 0.734 0.500
0.066 0.734 0.500
0.667 0.734 0.500
0.867 0.734 0.500
0.067 0.933 0.500
0.867 0.933 0.500
0.467 0.934 0.500
0.266 0.934 0.500
0.667 0.934 0.500
0.800 0.200 0.666
0.400 0.200 0.666
0.800 0.600 0.666
0.600 0.200 0.666
0.600 0.400 0.666
0.800 0.400 0.666
0.200 0.600 0.667
0.400 0.600 0.667
0.400 0.800 0.667
0.200 0.400 0.667
0.600 0.800 0.667
0.200 0.800 0.667
0.399 0.000 0.667
0.601 0.000 0.667
0.000 0.399 0.667
0.399 0.399 0.667
0.601 0.601 0.667
0.000 0.601 0.667
0.000 0.000 0.668
0.199 0.199 0.669
0.000 0.199 0.669
0.000 0.801 0.669
0.801 0.801 0.669
0.199 0.000 0.669
0.801 0.000 0.669
0.866 0.134 0.833
0.269 0.134 0.833
0.866 0.731 0.833
0.667 0.333 0.833
0.467 0.134 0.833
0.666 0.134 0.833
0.467 0.334 0.833
0.866 0.334 0.833
0.866 0.533 0.833
0.666 0.533 0.833
0.266 0.533 0.834
0.467 0.734 0.834
0.266 0.734 0.834
0.067 0.533 0.834
0.467 0.533 0.834
0.467 0.933 0.834
0.066 0.331 0.835
0.265 0.331 0.835
0.066 0.735 0.835
0.669 0.735 0.835
0.669 0.934 0.835
0.265 0.934 0.835
0.063 0.126 0.843
0.063 0.937 0.843
0.874 0.937 0.843
0.000 0.000 0.000

---

Mg3Ru2 PBE optimized geometry; space-group type = P4_132, No. 213
1.0
-0.918 1.616 6.712
5.999 -3.165 1.583
3.417 5.990 -0.975
Mg Ru
12 8
=====
_The text goes on_

1.What can people do with a Roger Black Folding Bike?
A.Cycle in the mountains.B.Work out at home.
C.Hang their clothes.D.Get a discount.
2.What is the advantage of this bike that both Brian and Anna mention?
A.Easy storage.B.Reasonable price.
C.Comfortable seats.D.Excellent quality.
3.Where is this text probably taken from?
A.A textbook.B.A scientific report.
C.A magazine.D.An academic article.

I always described myself as a perfectionist. To me, it meant that I had high ______, cared about everything I did and I always did my best.

______, then I started to notice that I was a quitter, not a trier. I ______ anything I wasn’t immediately good at. Each time I made a ______, no matter how small, I dropped that task or interest. I was so afraid of ______; I wasn’t even trying anymore.

Actually there was so much I ______ to try, but I never had a go at them. What if I failed? The idea was so ______ that it was easier to leave it as an unknown.

Then one day I spotted an art supply store when I went outside a shopping center. Before I could ______ myself, I bought a tiny set of paints, some paper and brushes.

I headed home full of ______, and started painting. And the results were really bad. ______, I pushed everything into a drawer (抽屉) and decided to forget the idea. But later I got the paints back and started again. I was still poor at painting, but my ______ this time wasn’t reduced. I decided to share my progress on social media!

Now, three years later, I paint almost every day and have ______ my own art business. I regularly fail and make a mess, but I ______ give up. Even better, I’m constantly trying new subjects. I’ve had experiences that a few years ago I couldn’t have ______. I just keep going.

Now I’m no longer ______ perfection; I’m simply enjoying the process.

A.brought outB.ended upC.got overD.gave up
A.brought upB.signed upC.set upD.picked up

In AD79, the ancient Roman city of Pompeii, in southern Italy, 1. (destroy) by a volcanic eruption that buried many of its buildings. Archaeologists (考古学家) 2. (observe) it for almost 300 years but now they have a new tool for 3. (understand) how Pompeii might once have looked—virtual reality (VR).

Researchers Danilo Campanaro and Giacomo Landeschi, from Lund University in Sweden, used data that were collected by drones (无人机) to create a 3D computer reconstruction of one of its most amazing buildings. They then fed the reconstruction into a video game system 4. a VR model is made. The idea is not just to recreate the buildings 5. to understand a bit more about how Roman people might have experienced them. Campanaro and Landeschi asked 6. (volunteer) to take a virtual tour of the house in both summer and winter light. The researchers used special eye-tracking technology to record 7. (exact) which areas people looked at and for how long. From this, the team concluded that the building used clever design 8. (draw) attention to the very objects 9. showed off the wealth and status of its owner—perhaps a man called Lucius Valenius Flaccus, 10. ring was found in the ruins.
